Employers should pay their workers enough to live on and support their families.
My colleagues and I at Demos have joined our fellow advocates and researchers in making the point repeatedly: delving deeply into the cases of retail workers (in the industry generally and at Walmart specifically), fast food employees, and people employed by companies that do business with the federal government. We’ve argued for raising the minimum wage at the federal, state, and local levels, and have cheered on private companies that voluntarily decided to raise base worker pay, including the Gap, Ikea, and – as Ross Douthat pointed out in his column in the Sunday New York Times – Hobby Lobby. Simply put, when all workers are paid enough to support themselves, the economy is stronger, our families and communities are stronger, and businesses themselves benefit from increased worker morale and productivity, reduced absenteeism, and greater employee retention.
# Data records from another source follow
********
Here is a relaxed structure of USO6 from the Materials Project database. Energies are from r2SCAN.

It has space group P2_1/c (No. 14), with a = 6.750 Å, b = 5.752 Å, c = 12.852 Å, α = 90.00°, β = 103.13° and γ = 90.00°. The inequivalent atoms are U at (0.181, 0.247, 0.339), S at (0.283, 0.547, 0.603), O at (0.095, 0.521, 0.271), O at (0.112, 0.711, 0.593), O at (0.255, 0.524, 0.902), O at (0.261, 0.142, 0.177), O at (0.285, 0.054, 0.999) and O at (0.474, 0.671, 0.645).

The calculated formation energy is -2.395 eV per atom. As for the crystal system: monoclinic.
********
# So much for the data records
It was in this context that blogger Brenden Timpe wrote on our blog last year in praise of Hobby Lobby’s wage hike. Reading Timpe’s post, Douthat sees a clash between religious liberty and cultural liberalism. The political left, he argues, is doing itself a disservice by critiquing the religious choices of organizations, like church-run soup kitchens, that otherwise serve goals we support. “Insist that for legal purposes there’s no such thing as a religiously motivated business," he argues, "and you will get fewer religiously motivated business owners" who will be motivated by their values to raise wages.
In other words, Douthat maintains that if progressives like it when religiously motivated employers pay their workers well, we should look the other way on other policies. In Hobby Lobby’s case, this includes advancing a legal principle that will undermine the rights of workers across the country, and undercut government’s ability to create systems that support workers, whether it comes to birth control or any other idea that might offend an employer’s religious beliefs. That’s hardly an acceptable compromise.
Materials data that have nothing to do with the article:
A plane-wave DFT calculation with GGA-PBE was carried out for NaPd3 after structural relaxation.

Raw total energy ... -4.2142 eV per atom
Energy of formation from the pure elements ... 0.00 eV per atom

Structure (extended XYZ):
```
4
Lattice="-2.0078 2.0078 4.0591 2.0078 -2.0078 4.0591 2.0078 2.0078 -4.0591" Properties=species:S:1:pos:R:3 pbc="T T T"
Na 0.0000 0.0000 0.0000
Pd 2.0078 0.0000 2.0295
Pd 0.0000 0.0000 4.0591
As Demos President Heather McGhee points out, “corporations are creations of the state and they must serve the public interest. What is especially dangerous about the Hobby Lobby decision is that it continues to advance the fallacy of corporate personhood and makes the corporate entity supreme over our democratic decision-making about what’s in the public interest -- in this case affordable health care for women and their partners.”
Data records, kept here for reference:
********
[1]
Material: Mg2Ni
Method: DFT, PBE
State: relaxed

calculated density: 3.09 g/cm3
DFT formation energy: 0.045 eV per atom

Lattice parameters (Å, degrees): 6.136 6.136 6.136 90.00 90.00 90.00
Space group Fm-3m (No. 225)
Inequivalent atoms, fractional coordinates:
Mg 0.250 0.250 0.250 x8
Ni 0.000 0.000 0.000 x4



[2]
Material: MgNi3
Method: DFT, PBE
State: relaxed

calculated density: 6.88 g/cm3
DFT formation energy: -0.072 eV per atom

Lattice parameters (Å, degrees): 3.643 3.643 3.643 90.00 90.00 90.00
Space group Pm-3m (No. 221)
Inequivalent atoms, fractional coordinates:
Mg 0.000 0.000 0.000 x1
Ni 0.000 0.500 0.500 x3



[3]
Material: MgNi
Method: DFT, PBE
State: relaxed

calculated density: 4.90 g/cm3
DFT formation energy: -0.151 eV per atom

Lattice parameters (Å, degrees): 2.985 2.985 3.160 90.00 90.00 90.00
Space group P4/mmm (No. 123)
Inequivalent atoms, fractional coordinates:
Mg 0.000 0.000 0.000 x1
Ni 0.500 0.500 0.500 x1

~~~~~

V6O5F19 | PBE with a Hubbard U | optimized geometry Values from VASP.

Structure (Quantum ESPRESSO input):
```
&SYSTEM
  ibrav = 0, nat = 30, ntyp = 3
/
ATOMIC_SPECIES
V 50.94 V.upf
F 19.00 F.upf
O 16.00 O.upf
CELL_PARAMETERS angstrom
-3.315 4.143 0.396
-4.215 -3.379 0.808
0.259 -1.147 14.688
ATOMIC_POSITIONS angstrom
V -2.954 -3.112 10.341
V -4.545 2.611 5.571
V -4.028 0.533 0.721
V -4.057 -4.241 15.424
V -4.823 -1.219 5.672
V -2.356 0.482 10.126
F -2.702 2.820 5.599
F -2.600 -2.601 11.999
F -3.888 1.223 10.757
F -3.205 0.019 2.210
F -3.232 2.174 0.814
F -4.426 0.673 5.979
F -2.976 2.559 13.401
F -5.828 -0.695 11.129
F -5.646 -0.753 4.180
F -4.215 -3.116 2.503
F -1.449 -1.145 6.889
F -5.805 0.839 9.039
F -3.899 -0.520 13.648
F -4.632 2.239 3.848
F -1.621 -1.235 14.642
F -1.593 0.502 11.724
F -1.444 0.427 4.745
F -4.691 -1.449 7.417
F -2.602 1.143 8.501
O -5.576 0.831 1.206
O -4.024 -2.618 15.117
O -4.604 -3.150 10.297
O -2.779 -1.105 9.942
O -3.320 -1.621 5.153
```

Volume   421.1 Å³/cell
ΔE_f   -2.7365 eV per atom
Polymorph energy (0 for the lowest one)   9 kJ/mol of formula units
Total energy after the MP2020 corrections   -197.7 eV per cell
Raw total energy   -5.84 eV per atom
Space group   P1, No. 1

***

V6O7F5 | PBE with a Hubbard U | optimized geometry Values from VASP.

Structure (Quantum ESPRESSO input):
```
&SYSTEM
  ibrav = 0, nat = 18, ntyp = 3
/
ATOMIC_SPECIES
V 50.94 V.upf
F 19.00 F.upf
O 16.00 O.upf
CELL_PARAMETERS angstrom
3.284 4.531 0.000
-3.284 4.531 0.000
0.000 2.591 6.886
ATOMIC_POSITIONS angstrom
V 0.000 8.399 5.568
V 0.000 3.227 1.184
V 0.000 4.917 4.712
V 0.000 1.350 3.397
V 0.000 11.609 6.857
V 0.000 6.864 2.286
F 0.000 2.818 4.822
F 0.000 8.899 2.008
F -1.278 4.499 0.009
F 1.278 4.499 0.009
F 0.000 4.826 2.544
O 1.955 6.844 2.328
O -1.955 6.844 2.328
O 2.002 4.816 4.575
O 0.000 4.500 6.686
O 0.000 7.001 0.193
O -2.002 4.816 4.575
O 0.000 6.849 4.455
```

Volume   204.9 Å³/cell
ΔE_f   -2.7486 eV per atom
Polymorph energy (0 for the lowest one)   23 kJ/mol of formula units
********
It’s a positive thing when employers -- motivated by religious values, pragmatic business concerns, or any other consideration – choose to go beyond the floor set by the law to lift up their workers. But we’d be better off with more strong employee protections and workers’ rights so we don’t need to rely on the whims of corporate leaders who choose which rights and benefits to bestow.